(Input)
........
VASP calculation (PBE-GGA) on an optimized crystal structure of NpAgAuO5.

formation energy from raw total energies = -10.2 eV per formula unit
space-group type = C2/c (15)
N(E_F) = 4.24 states/eV/f.u.

Cell: 6.552 6.552 7.423 Å, 101.28 101.28 115.26°
Element x y z (fractional)
Np1 0.000 0.500 0.000
Np2 0.500 0.000 0.500
Ag1 0.037 0.963 0.750
Ag2 0.963 0.037 0.250
Au1 0.471 0.529 0.250
Au2 0.529 0.471 0.750
O1 0.152 0.253 0.088
O2 0.199 0.801 0.250
O3 0.224 0.621 0.886
O4 0.253 0.152 0.588
O5 0.379 0.776 0.614
O6 0.621 0.224 0.386
O7 0.747 0.848 0.412
O8 0.776 0.379 0.114
O9 0.801 0.199 0.750
O10 0.848 0.747 0.912

VASP calculation (PBE-GGA) on an optimized crystal structure of NiIr2Ru.

ΔE_f = 0.35 eV per atom
excess energy over the best structure of this formula in the dataset = 365.2 meV/atom
space-group type = Cmm2 (35)
N(E_F) = 8.08 states/eV/f.u.

Cell: 2.691 4.623 9.057 Å, 90.00 90.00 90.00°
Element x y z (fractional)
Ni1 0.000 0.000 0.000
Ni2 0.500 0.500 0.000
Ir1 0.000 0.000 0.504
Ir2 0.000 0.500 0.242
Ir3 0.500 0.000 0.242
Ir4 0.500 0.500 0.504
Ru1 0.000 0.500 0.761
Ru2 0.500 0.000 0.761

VASP calculation (PBE-GGA) on an optimized crystal structure of Cs2LiSiP2.

formation energy from raw total energies = -2.7 eV per formula unit
space-group type = Ibam (72)
N(E_F) = 2.36 states/eV/f.u.

Cell: 12.439 12.439 12.439 Å, 151.24 40.48 152.12°
Element x y z (fractional)
Cs1 0.144 0.244 0.388
Cs2 0.356 0.744 0.101
Cs3 0.644 0.256 0.899
Cs4 0.856 0.756 0.612
Li1 0.250 0.250 0.000
Li2 0.750 0.750 0.000
Si1 0.250 0.750 0.500
Si2 0.750 0.250 0.500
P1 0.051 0.707 0.758
P2 0.449 0.207 0.657
P3 0.551 0.793 0.343
P4 0.949 0.293 0.242

VASP calculation (PBE-GGA) on an optimized crystal structure of Tl2As.

ΔE_f = 0.08 eV per atom
excess energy over the best structure of this formula in the dataset = 57.2 meV/atom
space-group type = Immm (71)
N(E_F) = 0.96 states/eV/f.u.

Cell: 3.343 3.944 13.142 Å, 90.00 90.00 90.00°
Element x y z (fractional)
Tl1 0.000 0.000 0.142
Tl2 0.000 0.000 0.858
Tl3 0.500 0.500 0.358
Tl4 0.500 0.500 0.642
As1 0.000 0.000 0.500
As2 0.500 0.500 0.000

VASP calculation (PBE-GGA) on an optimized crystal structure of B2N.

formation energy from raw total energies = -1.2 eV per formula unit
excess energy over the best structure of this formula in the dataset = 217.5 meV/atom
space-group type = P1 (1)

Cell: 3.205 3.904 3.981 Å, 73.63 78.95 89.15°
Element x y z (fractional)
B1 0.000 0.000 0.000
B2 0.138 0.337 0.363
B3 0.312 0.608 0.639
B4 0.847 0.732 0.423
N1 0.051 0.966 0.631
N2 0.197 0.329 0.000

VASP calculation (PBE-GGA) on an optimized crystal structure of Rb2TaIrI6.

formation energy from raw total energies = -3.3 eV per formula unit
space-group type = I4/mmm (139)
N(E_F) = 12.22 states/eV/f.u.

Cell: 8.064 8.064 8.064 Å, 120.09 120.09 89.84°
Element x y z (fractional)
Rb1 0.250 0.750 0.500
Rb2 0.750 0.250 0.500
Ta1 0.000 0.000 0.000
Ir1 0.500 0.500 0.000
I1 0.252 0.252 0.000
I2 0.252 0.252 0.505
I3 0.252 0.748 0.000
I4 0.748 0.252 0.000
I5 0.748 0.748 0.000
I6 0.748 0.748 0.495

VASP calculation (PBE-GGA) on an optimized crystal structure of KTe2Cl.

formation energy from raw total energies = -0.4 eV per formula unit
excess energy over the best structure of this formula in the dataset = 761.3 meV/atom
space-group type = R-3m (166)
N(E_F) = 2.93 states/eV/f.u.

Cell: 3.771 3.771 32.183 Å, 90.00 90.00 120.00°
Element x y z (fractional)
K1 0.000 0.000 0.000
K2 0.333 0.667 0.667
K3 0.667 0.333 0.333
Te1 0.000 0.000 0.418
Te2 0.000 0.000 0.582
Te3 0.333 0.667 0.085
Te4 0.333 0.667 0.248
Te5 0.667 0.333 0.752
Te6 0.667 0.333 0.915
Cl1 0.000 0.000 0.500
Cl2 0.333 0.667 0.167
Cl3 0.667 0.333 0.833

VASP calculation (PBE-GGA) on an optimized crystal structure of BaSc2Ti.

ΔE_f = 1.11 eV per atom
excess energy over the best structure of this formula in the dataset = 710.9 meV/atom
space-group type = I4_1/amd (141)
N(E_F) = 6.61 states/eV/f.u.

Cell: 7.395 7.395 10.427 Å, 90.00 90.00 90.00°
Element x y z (fractional)
........

(What to do)
Copy the material above with every line break kept.

(Completed)
VASP calculation (PBE-GGA) on an optimized crystal structure of NpAgAuO5.

formation energy from raw total energies = -10.2 eV per formula unit
space-group type = C2/c (15)
N(E_F) = 4.24 states/eV/f.u.

Cell: 6.552 6.552 7.423 Å, 101.28 101.28 115.26°
Element x y z (fractional)
Np1 0.000 0.500 0.000
Np2 0.500 0.000 0.500
Ag1 0.037 0.963 0.750
Ag2 0.963 0.037 0.250
Au1 0.471 0.529 0.250
Au2 0.529 0.471 0.750
O1 0.152 0.253 0.088
O2 0.199 0.801 0.250
O3 0.224 0.621 0.886
O4 0.253 0.152 0.588
O5 0.379 0.776 0.614
O6 0.621 0.224 0.386
O7 0.747 0.848 0.412
O8 0.776 0.379 0.114
O9 0.801 0.199 0.750
O10 0.848 0.747 0.912

VASP calculation (PBE-GGA) on an optimized crystal structure of NiIr2Ru.

ΔE_f = 0.35 eV per atom
excess energy over the best structure of this formula in the dataset = 365.2 meV/atom
space-group type = Cmm2 (35)
N(E_F) = 8.08 states/eV/f.u.

Cell: 2.691 4.623 9.057 Å, 90.00 90.00 90.00°
Element x y z (fractional)
Ni1 0.000 0.000 0.000
Ni2 0.500 0.500 0.000
Ir1 0.000 0.000 0.504
Ir2 0.000 0.500 0.242
Ir3 0.500 0.000 0.242
Ir4 0.500 0.500 0.504
Ru1 0.000 0.500 0.761
Ru2 0.500 0.000 0.761

VASP calculation (PBE-GGA) on an optimized crystal structure of Cs2LiSiP2.

formation energy from raw total energies = -2.7 eV per formula unit
space-group type = Ibam (72)
N(E_F) = 2.36 states/eV/f.u.

Cell: 12.439 12.439 12.439 Å, 151.24 40.48 152.12°
Element x y z (fractional)
Cs1 0.144 0.244 0.388
Cs2 0.356 0.744 0.101
Cs3 0.644 0.256 0.899
Cs4 0.856 0.756 0.612
Li1 0.250 0.250 0.000
Li2 0.750 0.750 0.000
Si1 0.250 0.750 0.500
Si2 0.750 0.250 0.500
P1 0.051 0.707 0.758
P2 0.449 0.207 0.657
P3 0.551 0.793 0.343
P4 0.949 0.293 0.242

VASP calculation (PBE-GGA) on an optimized crystal structure of Tl2As.

ΔE_f = 0.08 eV per atom
excess energy over the best structure of this formula in the dataset = 57.2 meV/atom
space-group type = Immm (71)
N(E_F) = 0.96 states/eV/f.u.

Cell: 3.343 3.944 13.142 Å, 90.00 90.00 90.00°
Element x y z (fractional)
Tl1 0.000 0.000 0.142
Tl2 0.000 0.000 0.858
Tl3 0.500 0.500 0.358
Tl4 0.500 0.500 0.642
As1 0.000 0.000 0.500
As2 0.500 0.500 0.000

VASP calculation (PBE-GGA) on an optimized crystal structure of B2N.

formation energy from raw total energies = -1.2 eV per formula unit
excess energy over the best structure of this formula in the dataset = 217.5 meV/atom
space-group type = P1 (1)

Cell: 3.205 3.904 3.981 Å, 73.63 78.95 89.15°
Element x y z (fractional)
B1 0.000 0.000 0.000
B2 0.138 0.337 0.363
B3 0.312 0.608 0.639
B4 0.847 0.732 0.423
N1 0.051 0.966 0.631
N2 0.197 0.329 0.000

VASP calculation (PBE-GGA) on an optimized crystal structure of Rb2TaIrI6.

formation energy from raw total energies = -3.3 eV per formula unit
space-group type = I4/mmm (139)
N(E_F) = 12.22 states/eV/f.u.

Cell: 8.064 8.064 8.064 Å, 120.09 120.09 89.84°
Element x y z (fractional)
Rb1 0.250 0.750 0.500
Rb2 0.750 0.250 0.500
Ta1 0.000 0.000 0.000
Ir1 0.500 0.500 0.000
I1 0.252 0.252 0.000
I2 0.252 0.252 0.505
I3 0.252 0.748 0.000
I4 0.748 0.252 0.000
I5 0.748 0.748 0.000
I6 0.748 0.748 0.495

VASP calculation (PBE-GGA) on an optimized crystal structure of KTe2Cl.

formation energy from raw total energies = -0.4 eV per formula unit
excess energy over the best structure of this formula in the dataset = 761.3 meV/atom
space-group type = R-3m (166)
N(E_F) = 2.93 states/eV/f.u.

Cell: 3.771 3.771 32.183 Å, 90.00 90.00 120.00°
Element x y z (fractional)
K1 0.000 0.000 0.000
K2 0.333 0.667 0.667
K3 0.667 0.333 0.333
Te1 0.000 0.000 0.418
Te2 0.000 0.000 0.582
Te3 0.333 0.667 0.085
Te4 0.333 0.667 0.248
Te5 0.667 0.333 0.752
Te6 0.667 0.333 0.915
Cl1 0.000 0.000 0.500
Cl2 0.333 0.667 0.167
Cl3 0.667 0.333 0.833

VASP calculation (PBE-GGA) on an optimized crystal structure of BaSc2Ti.

ΔE_f = 1.11 eV per atom
excess energy over the best structure of this formula in the dataset = 710.9 meV/atom
space-group type = I4_1/amd (141)
N(E_F) = 6.61 states/eV/f.u.

Cell: 7.395 7.395 10.427 Å, 90.00 90.00 90.00°
Element x y z (fractional)